• Work order:
Type out the material further down unchanged, please.

• Contents:
- - -
No. 1
Structure and theoretical PXRD pattern of ErAlGe (a structure optimized by DFT (GGA-PBE); Cu Kα).
Kinematic intensities with the Lorentz-polarization factor, no thermal factor.

Crystal structure
```
ErAlGe
1.0
4.057 0.000 0.000
0.000 10.360 0.000
0.000 0.000 5.732
Er Al Ge
4 4 4
Cartesian
0.000 1.966 1.433
0.000 8.394 4.299
2.029 3.214 4.299
2.029 7.146 1.433
0.000 5.180 0.000
0.000 5.180 2.866
2.029 0.000 0.000
2.029 0.000 2.866
0.000 1.108 4.299
0.000 9.252 1.433
2.029 4.072 1.433
2.029 6.287 4.299
```

Main lines, in order of falling intensity (2θ = 10–90°):
2theta  intensity
34.1  100
28.3  84
37.6  66
38.1  66
39.5  66
31.2  66
60.2  52
23.6  50
46.9  45
55.5  45

***

No. 2
Structure and theoretical PXRD pattern of Rb2PdC2 (a structure optimized by DFT (GGA-PBE); Cu Kα).
Kinematic intensities with the Lorentz-polarization factor, no thermal factor.

Crystal structure
```
Rb2PdC2
1.0
5.463 0.000 0.000
-2.732 4.731 0.000
0.000 0.000 5.310
Rb Pd C
2 1 2
Cartesian
0.000 3.154 1.475
2.732 1.577 3.835
0.000 0.000 0.000
0.000 0.000 2.019
0.000 0.000 3.291
```

Main lines, in order of falling intensity (2θ = 10–90°):
2theta  intensity
25.2  100
32.8  70
38.9  37
41.8  26
54.1  24
62.6  18
51.8  16
81.9  13
58.5  12
62.5  10

***

No. 3
Structure and theoretical PXRD pattern of FeCu6GeS8 (a structure optimized by DFT (GGA-PBE); Cu Kα).
Kinematic intensities with the Lorentz-polarization factor, no thermal factor.

Crystal structure
```
FeCu6GeS8
1.0
0.000 5.242 5.242
5.242 0.000 5.242
5.242 5.242 0.000
Fe Cu Ge S
1 6 1 8
Cartesian
0.000 0.000 0.000
2.621 2.621 0.051
2.621 0.051 2.621
5.190 2.621 2.621
0.051 2.621 2.621
2.621 5.190 2.621
2.621 2.621 5.190
5.242 5.242 5.242
1.272 1.272 1.272
3.969 3.969 1.272
3.969 1.272 3.969
6.550 3.933 3.933
3.933 6.550 3.933
3.933 3.933 6.550
6.550 6.550 6.550
1.272 3.969 3.969
```

Main lines, in order of falling intensity (2θ = 10–90°):
2theta  intensity
29.5  100
49.2  59
58.4  38
79.7  15
34.2  11
72.1  9
82.3  3
61.3  3
44.9  1

***

No. 4
Structure and theoretical PXRD pattern of BaGa2Pt2 (a structure optimized by DFT (GGA-PBE); Cu Kα).
Kinematic intensities with the Lorentz-polarization factor, no thermal factor.

Crystal structure
```
BaGa2Pt2
1.0
8.686 0.000 0.000
0.000 6.470 0.000
-1.154 0.000 8.392
Ba Ga Pt
4 8 8
Cartesian
2.028 0.709 0.018
1.451 2.526 4.214
6.081 3.945 4.178
5.504 5.761 8.374
-0.349 3.744 7.336
0.228 5.962 3.140
3.601 4.232 1.610
3.024 5.474 5.806
4.509 0.997 2.585
3.931 2.238 6.781
7.304 0.509 5.252
7.881 2.727 1.056
1.072 4.332 1.455
0.494 5.374 5.651
2.205 3.853 7.512
2.782 5.852 3.316
4.750 0.618 5.076
5.327 2.617 0.880
7.038 1.097 2.741
6.461 2.139 6.936
```

Main lines, in order of falling intensity (2θ = 10–90°):
2theta  intensity
31.9  100
17.1  83
35.0  69
26.2  67
25.9  63
30.9  53
34.2  53
31.8  51
44.3  51
17.3  48

***

No. 5
Structure and theoretical PXRD pattern of CsBr2F (a structure optimized by DFT (GGA-PBE); Cu Kα).
Kinematic intensities with the Lorentz-polarization factor, no thermal factor.

Crystal structure
```
CsBr2F
1.0
4.392 0.000 0.000
0.000 4.392 0.000
0.000 0.000 7.373
Cs Br F
1 2 1
Cartesian
0.000 0.000 0.000
2.196 2.196 2.489
2.196 2.196 4.884
- - -

• Outcome:
No. 1
Structure and theoretical PXRD pattern of ErAlGe (a structure optimized by DFT (GGA-PBE); Cu Kα).
Kinematic intensities with the Lorentz-polarization factor, no thermal factor.

Crystal structure
```
ErAlGe
1.0
4.057 0.000 0.000
0.000 10.360 0.000
0.000 0.000 5.732
Er Al Ge
4 4 4
Cartesian
0.000 1.966 1.433
0.000 8.394 4.299
2.029 3.214 4.299
2.029 7.146 1.433
0.000 5.180 0.000
0.000 5.180 2.866
2.029 0.000 0.000
2.029 0.000 2.866
0.000 1.108 4.299
0.000 9.252 1.433
2.029 4.072 1.433
2.029 6.287 4.299
```

Main lines, in order of falling intensity (2θ = 10–90°):
2theta  intensity
34.1  100
28.3  84
37.6  66
38.1  66
39.5  66
31.2  66
60.2  52
23.6  50
46.9  45
55.5  45

***

No. 2
Structure and theoretical PXRD pattern of Rb2PdC2 (a structure optimized by DFT (GGA-PBE); Cu Kα).
Kinematic intensities with the Lorentz-polarization factor, no thermal factor.

Crystal structure
```
Rb2PdC2
1.0
5.463 0.000 0.000
-2.732 4.731 0.000
0.000 0.000 5.310
Rb Pd C
2 1 2
Cartesian
0.000 3.154 1.475
2.732 1.577 3.835
0.000 0.000 0.000
0.000 0.000 2.019
0.000 0.000 3.291
```

Main lines, in order of falling intensity (2θ = 10–90°):
2theta  intensity
25.2  100
32.8  70
38.9  37
41.8  26
54.1  24
62.6  18
51.8  16
81.9  13
58.5  12
62.5  10

***

No. 3
Structure and theoretical PXRD pattern of FeCu6GeS8 (a structure optimized by DFT (GGA-PBE); Cu Kα).
Kinematic intensities with the Lorentz-polarization factor, no thermal factor.

Crystal structure
```
FeCu6GeS8
1.0
0.000 5.242 5.242
5.242 0.000 5.242
5.242 5.242 0.000
Fe Cu Ge S
1 6 1 8
Cartesian
0.000 0.000 0.000
2.621 2.621 0.051
2.621 0.051 2.621
5.190 2.621 2.621
0.051 2.621 2.621
2.621 5.190 2.621
2.621 2.621 5.190
5.242 5.242 5.242
1.272 1.272 1.272
3.969 3.969 1.272
3.969 1.272 3.969
6.550 3.933 3.933
3.933 6.550 3.933
3.933 3.933 6.550
6.550 6.550 6.550
1.272 3.969 3.969
```

Main lines, in order of falling intensity (2θ = 10–90°):
2theta  intensity
29.5  100
49.2  59
58.4  38
79.7  15
34.2  11
72.1  9
82.3  3
61.3  3
44.9  1

***

No. 4
Structure and theoretical PXRD pattern of BaGa2Pt2 (a structure optimized by DFT (GGA-PBE); Cu Kα).
Kinematic intensities with the Lorentz-polarization factor, no thermal factor.

Crystal structure
```
BaGa2Pt2
1.0
8.686 0.000 0.000
0.000 6.470 0.000
-1.154 0.000 8.392
Ba Ga Pt
4 8 8
Cartesian
2.028 0.709 0.018
1.451 2.526 4.214
6.081 3.945 4.178
5.504 5.761 8.374
-0.349 3.744 7.336
0.228 5.962 3.140
3.601 4.232 1.610
3.024 5.474 5.806
4.509 0.997 2.585
3.931 2.238 6.781
7.304 0.509 5.252
7.881 2.727 1.056
1.072 4.332 1.455
0.494 5.374 5.651
2.205 3.853 7.512
2.782 5.852 3.316
4.750 0.618 5.076
5.327 2.617 0.880
7.038 1.097 2.741
6.461 2.139 6.936
```

Main lines, in order of falling intensity (2θ = 10–90°):
2theta  intensity
31.9  100
17.1  83
35.0  69
26.2  67
25.9  63
30.9  53
34.2  53
31.8  51
44.3  51
17.3  48

***

No. 5
Structure and theoretical PXRD pattern of CsBr2F (a structure optimized by DFT (GGA-PBE); Cu Kα).
Kinematic intensities with the Lorentz-polarization factor, no thermal factor.

Crystal structure
```
CsBr2F
1.0
4.392 0.000 0.000
0.000 4.392 0.000
0.000 0.000 7.373
Cs Br F
1 2 1
Cartesian
0.000 0.000 0.000
2.196 2.196 2.489
2.196 2.196 4.884